“Clergy shall be appointed by the bishop, who is empowered to make and fix all appointments in the episcopal area of which the annual conference is a part. Appointments are to be made with consideration of the gifts and evidence of God’s grace of those appointed, to the needs, characteristics, and opportunities of congregations and institutions, and with faithfulness to the commitment to an open itineracy.” The 2016 Book of Discipline of The United Methodist Church. ¶425

Bishop Carlo A. Rapanut; ABQ DS, Ross Whitheaker; El Paso DS, Pam Rowley serve as the New Mexico Conference Appointive Cabinet.  They have earnestly prayed over and discerned the following appointment changes.



Inserted here: crystal structures
'''
Entry 1:
Density functional theory data (GGA-PBE) for an optimized crystal structure of AlMo.

## Properties
energy of formation = 0.176 eV/atom
size of the total moment = 0.00 μB per formula unit

a b c (Å): 7.745 7.745 4.646
angles (deg): 90.00 90.00 90.00
Positions (direct):
1 Al 0.944 0.670 0.500
2 Al 0.056 0.330 0.500
3 Al 0.330 0.944 0.500
4 Al 0.670 0.056 0.500
5 Al 0.914 0.241 0.000
6 Al 0.086 0.759 0.000
7 Al 0.759 0.914 0.000
8 Al 0.241 0.086 0.000
9 Mo 0.718 0.390 0.500
10 Mo 0.282 0.610 0.500
11 Mo 0.610 0.718 0.500
12 Mo 0.390 0.282 0.500
13 Mo 0.740 0.571 0.000
14 Mo 0.260 0.429 0.000
15 Mo 0.429 0.740 0.000
16 Mo 0.571 0.260 0.000

=====

Entry 2:
Density functional theory data (GGA-PBE) for an optimized crystal structure of Al3Mo.

## Properties
energy of formation = -0.270 eV/atom
size of the total moment = 0.00 μB per formula unit

a b c (Å): 4.994 5.369 13.616
angles (deg): 90.00 90.00 90.00
Positions (direct):
1 Al 0.143 0.002 0.415
2 Al 0.143 0.002 0.085
3 Al 0.554 0.998 0.750
4 Al 0.446 0.002 0.250
5 Al 0.857 0.998 0.915
6 Al 0.857 0.998 0.585
7 Al 0.925 0.250 0.250
8 Al 0.349 0.250 0.914
9 Al 0.349 0.250 0.586
10 Al 0.143 0.498 0.415
11 Al 0.143 0.498 0.085
12 Al 0.554 0.502 0.750
13 Al 0.446 0.498 0.250
14 Al 0.857 0.502 0.915
15 Al 0.857 0.502 0.585
16 Al 0.075 0.750 0.750
17 Al 0.651 0.750 0.414
18 Al 0.651 0.750 0.086
19 Mo 0.042 0.250 0.750
20 Mo 0.633 0.250 0.425
21 Mo 0.633 0.250 0.075
22 Mo 0.958 0.750 0.250
23 Mo 0.367 0.750 0.925
24 Mo 0.367 0.750 0.575

----------

Entry from the Alexandria database: crystalline U5As4C at its relaxed geometry (PBE-GGA).

Cell and atoms, written as POSCAR:
```
U5As4C
1.0
-4.432 4.432 2.839
4.432 -4.432 2.839
4.432 4.432 -2.839
U As C
5 4 1
Cartesian
0.000 0.000 0.000
3.613 2.096 0.000
2.335 -0.819 2.839
2.096 5.250 0.000
0.819 2.335 2.839
6.132 0.747 0.000
0.747 2.731 0.000
3.685 1.700 2.839
-1.700 3.685 2.839
0.000 0.000 2.839
```

Properties
Calculated formation energy, eV/f.u.: -5.10
V, Å³/cell: 223.00
Uncorrected energy, eV/atom: -8.9363

Entry from the Alexandria database: crystalline U3AsC2 at its relaxed geometry (PBE-GGA).

Cell and atoms, written as POSCAR:
```
U3AsC2
1.0
1.997 -6.266 0.000
1.997 6.266 0.000
0.000 0.000 8.610
U As C
6 2 4
Cartesian
1.997 5.242 6.457
1.997 1.503 4.690
1.997 1.503 8.225
1.997 -1.503 0.385
1.997 -1.503 3.920
1.997 -5.242 2.152
1.997 3.328 2.152
1.997 -3.328 6.457
0.000 0.000 0.000
0.000 0.000 4.305
1.997 0.026 6.457
1.997 -0.026 2.152
```

Properties
Calculated formation energy, eV/f.u.: -1.43
V, Å³/cell: 215.45
Uncorrected energy, eV/atom: -9.7312

Entry from the Alexandria database: crystalline V7AsC2 at its relaxed geometry (PBE-GGA).

Cell and atoms, written as POSCAR:
```
V7AsC2
1.0
3.295 -5.112 0.000
3.295 5.112 0.000
0.000 0.000 3.868
V As C
7 1 2
Cartesian
0.000 0.000 0.000
1.915 1.346 0.000
3.295 2.674 1.934
1.915 -1.346 0.000
4.675 1.346 0.000
3.295 -2.674 1.934
4.675 -1.346 0.000
3.295 0.000 1.934
3.295 2.987 0.000
'''
Here the article continues

Bishop Carlo A. Rapanut intends to appoint Rev. Stephen White to serve as the Senior Pastor of St. Paul’s United Methodist Church in El Paso, TX, effective July 1, 2025. Rev. White is an Associate Member of the New Mexico Conference currently serving as the Pastor of Alpine and Marfa United Methodist Churches.

-- Data records that have nothing to do with the entry --
~~~
# 1
! MgCuTe, relaxed, DFT GGA-PBE; values from VASP
! formation energy (no corrections) = -0.03 eV/atom
! D(E_F) = 0.51 states/eV per atom
! spin magnetization = 0.0 μB/cell
&SYSTEM
  ibrav = 0, nat = 3, ntyp = 3
/
ATOMIC_SPECIES
Mg 24.30 Mg.upf
Cu 63.55 Cu.upf
Te 127.60 Te.upf
CELL_PARAMETERS angstrom
-1.941 1.941 4.196
1.941 -1.941 4.196
1.941 1.941 -4.196
ATOMIC_POSITIONS angstrom
Mg 0.000 0.000 0.000
Cu 0.000 0.000 5.628
Te 0.000 0.000 2.927

=====

# 2
! Dy8HoTh2, relaxed, DFT GGA-PBE; values from VASP
! energy relative to the elements = 0.199 eV/atom
! D(E_F) = 1.52 states/eV per atom
! spin magnetization = 0.0 μB/cell
&SYSTEM
  ibrav = 0, nat = 11, ntyp = 3
/
ATOMIC_SPECIES
Dy 162.50 Dy.upf
Ho 164.93 Ho.upf
Th 232.04 Th.upf
CELL_PARAMETERS angstrom
9.412 -3.510 0.000
9.412 3.510 0.000
-0.212 0.000 5.581
ATOMIC_POSITIONS angstrom
Dy 0.831 0.000 1.321
Dy 6.895 1.897 1.466
Dy 5.828 0.000 4.285
Dy 11.717 1.897 4.116
Dy 6.895 -1.897 1.466
Dy 12.785 0.000 1.297
Dy 11.717 -1.897 4.116
Dy 17.781 0.000 4.260
Ho 9.412 0.000 0.000
Th 4.057 0.000 1.462
Th 14.556 0.000 4.119
~~~

Appointment for week of February 10: The appointment of Rev. Layloni Drake at St. Paul’s UMC in El Paso, TX is concluding, effective February 16, 2025. District Superintendent, Rev. Dr. Pam Rowley, as pastor of record, assigns the following to St. Paul’s UMC, March 1 through June 30, 2025: Rev. Gorton Smith, retired elder in full connection in New Mexico Conference, and Certified Lay Ministers, Kathy Jewell and Bill Wood. We express our gratitude for Rev. Drake’s service and ministry.

## Attached: crystal structures
____________
Record 1
# FeCu2As | Alexandria via LeMat-Bulk | PBE-GGA | optimized geometry
data_FeCu2As
_chemical_formula_sum 'Fe3 Cu6 As3'
_space_group_name_H-M_alt 'R -3 m'
_space_group_IT_number 166
_space_group_name_Hall '-R 3 2"'
_cell_length_a 2.7471
_cell_length_b 2.7471
_cell_length_c 25.1946
_cell_angle_alpha 90.00
_cell_angle_beta 90.00
_cell_angle_gamma 120.00
loop_
_atom_site_label
_atom_site_type_symbol
_atom_site_fract_x
_atom_site_fract_y
_atom_site_fract_z
_atom_site_occupancy
Fe1 Fe 0.0000 0.0000 0.0000 1
Cu1 Cu 0.0000 0.0000 0.2525 1
As1 As 0.0000 0.0000 0.5000 1
# Energy relative to the elements (eV/atom): 0.32



Record 2
# Tb3Al2In2 | Alexandria via LeMat-Bulk | PBE-GGA | optimized geometry
data_Tb3Al2In2
_chemical_formula_sum 'Tb6 Al4 In4'
_space_group_name_H-M_alt 'I m m m'
_space_group_IT_number 71
_space_group_name_Hall '-I 2 2'
_cell_length_a 3.699
_cell_length_b 4.675
_cell_length_c 20.160
_cell_angle_alpha 90.00
_cell_angle_beta 90.00
_cell_angle_gamma 90.00
loop_
_atom_site_label
_atom_site_type_symbol
_atom_site_fract_x
_atom_site_fract_y
_atom_site_fract_z
_atom_site_occupancy
Tb1 Tb 0.000 0.000 0.000 1
Tb2 Tb 0.000 0.500 0.195 1
Al1 Al 0.000 0.000 0.436 1
In1 In 0.000 0.500 0.359 1
# Energy relative to the elements (eV/atom): -0.43



Record 3
# AcInAu | Alexandria via LeMat-Bulk | PBE-GGA | optimized geometry
data_AcInAu
_chemical_formula_sum 'Ac4 In4 Au4'
_space_group_name_H-M_alt 'F -4 3 m'
_space_group_IT_number 216
_space_group_name_Hall 'F -4 2 3'
_cell_length_a 7.221
_cell_length_b 7.221
_cell_length_c 7.221
_cell_angle_alpha 90.00
_cell_angle_beta 90.00
_cell_angle_gamma 90.00
loop_
_atom_site_label
_atom_site_type_symbol
_atom_site_fract_x
_atom_site_fract_y
_atom_site_fract_z
_atom_site_occupancy
Ac1 Ac 0.000 0.000 0.000 1
In1 In 0.000 0.000 0.500 1
Au1 Au 0.250 0.250 0.750 1
# Energy relative to the elements (eV/atom): -0.61



Record 4
Density functional theory data (PBE-GGA) for Nb2AgCl after structural relaxation.

```
data_Nb2AgCl
_chemical_formula_sum 'Nb8 Ag4 Cl4'
_space_group_name_H-M_alt 'F m -3 m'
_space_group_IT_number 225
_space_group_name_Hall '-F 4 2 3'
_cell_length_a 6.525
_cell_length_b 6.525
_cell_length_c 6.525
_cell_angle_alpha 90.00
_cell_angle_beta 90.00
_cell_angle_gamma 90.00
loop_
_atom_site_label
_atom_site_type_symbol
_atom_site_fract_x
_atom_site_fract_y
_atom_site_fract_z
_atom_site_occupancy
Nb1 Nb 0.250 0.250 0.250 1
Ag1 Ag 0.000 0.000 0.000 1
Cl1 Cl 0.000 0.000 0.500 1
```



Record 5
Density functional theory data (PBE-GGA) for InSi2SbMo after structural relaxation.

```
data_InSi2SbMo
_chemical_formula_sum 'In1 Si2 Sb1 Mo1'
_space_group_name_H-M_alt 'P 4/m m m'
_space_group_IT_number 123
_space_group_name_Hall '-P 4 2'
_cell_length_a 4.797
_cell_length_b 4.797
_cell_length_c 5.331
_cell_angle_alpha 90.00
_cell_angle_beta 90.00
_cell_angle_gamma 90.00
loop_
_atom_site_label
_atom_site_type_symbol
_atom_site_fract_x
_atom_site_fract_y
_atom_site_fract_z
_atom_site_occupancy
____________
## Here the entry continues

These announcements are being made by Rev. Dr. Pamela Rowley, El Paso District Superintendent, who calls us to be in prayer for Rev. Stephen White and his wife Teresa, Rev. Layloni Drake, as well as the churches of Alpine and Marfa, St. Paul’s United Methodist Church of El Paso, Rev. Smith, and CLM’s Jewell and Wood in this time of transition.


Bishop Carlo A. Rapanut intends to appoint Pastor Jared Secret to serve as Senior Pastor of First United Methodist Church of Belen, NM effective July 1, 2025.  Pastor Secret is a Licensed Local Pastor currently serving as the Pastor of Paradise Hills UMC in Albuquerque.

This announcement is made by Rev. Ross Whiteaker, ABQ DS who calls us to be in prayer for Jared and his family, Paradise Hills UMC and FUMC-Belen.

Bishop Carlo A. Rapanut intends to appoint Rev. Dr. Joe MacDonald to serve as the Senior Pastor of St. Paul’s United Methodist Church in Las Cruces, NM, effective July 1, 2025. Rev. Dr. MacDonald is an elder currently serving as the Pastor of FUMC-Belen.


Rev. Greg Kennedy is currently serving as Senior Pastor of St. Paul’s UMC-Las Cruces. He will enter into retired status beginning June 30, 2025.

This announcement is being made by the Rev. Dr. Pam Rowley, District Superintendent of the El Paso District, who calls us to be in prayer for Rev. Dr. Joe MacDonald and Rev. Cazandra MacDonald, Rev. Greg Kennedy and his beloved Cindy, First UMC-Belen, and St. Paul’s UMC-Las Cruces.

With thanksgiving, El Paso DS, Rev. Dr. Pam Rowley announces the retirement of Rev. Lourdes Calderon, effective January 1, 2025.  We are grateful for Lourdes' years of service and pray for her and Sebastian in this new season.  Lourdes will continue ministry with Tender Care Home Health and Hospice of El Paso.